Exercise:
Reproduce every line further below that contains the word "data_Mo4O5", please.

Entries:
1.
Mn2CuO4: optimized geometry, GGA+U.

CIF file:
```
data_Mn2CuO4
_space_group_name_H-M_alt 'C 1 m 1'
_space_group_IT_number 8
_cell_length_a 10.687
_cell_length_b 5.939
_cell_length_c 14.743
_cell_angle_alpha 90.00
_cell_angle_beta 93.36
_cell_angle_gamma 90.00
loop_
_space_group_symop_operation_xyz
'x,y,z'
'x,-y,z'
'x+1/2,y+1/2,z'
'x+1/2,-y+1/2,z'
loop_
_atom_site_label
_atom_site_fract_x
_atom_site_fract_y
_atom_site_fract_z
Mn1 0.000 0.000 0.000
Mn2 0.000 0.500 0.500
Mn3 0.084 0.250 0.333
Mn4 0.165 0.500 0.667
Mn5 0.249 0.248 0.999
Mn6 0.327 0.500 0.212
Mn7 0.333 0.000 0.333
Mn8 0.414 0.251 0.666
Mn9 0.493 0.000 0.878
Cu1 0.002 0.500 0.121
Cu2 0.163 0.000 0.543
Cu3 0.166 0.000 0.165
Cu4 0.167 0.000 0.785
Cu5 0.331 0.500 0.832
Cu6 0.336 0.500 0.456
O1 0.007 0.500 0.257
O2 0.009 0.000 0.259
O3 0.071 0.275 0.588
O4 0.096 0.229 0.073
O5 0.157 0.500 0.408
O6 0.159 0.000 0.409
O7 0.176 0.000 0.923
O8 0.177 0.500 0.924
O9 0.238 0.225 0.259
O10 0.258 0.272 0.741
O11 0.323 0.500 0.073
O12 0.325 0.000 0.074
O13 0.340 0.500 0.591
O14 0.342 0.000 0.588
O15 0.403 0.275 0.926
O16 0.429 0.225 0.410
O17 0.488 0.500 0.742
O18 0.490 0.000 0.739
```

Properties
The calculation puts the MP2020-corrected energy at -646.7 eV/cell. The total energy comes out at -6.830 eV/atom. For the formation energy, the calculation gives -1.669 eV/atom. The calculation puts the total magnetic moment at 1.00 μB per atom. As for the relative energy among the computed polymorphs: 10 meV per atom.

2.
MnSnO3: optimized geometry, GGA+U.

CIF file:
```
data_MnSnO3
_space_group_name_H-M_alt 'R -3'
_space_group_IT_number 148
_space_group_name_Hall '-R 3'
_cell_length_a 5.4369
_cell_length_b 5.4369
_cell_length_c 14.7130
_cell_angle_alpha 90.00
_cell_angle_beta 90.00
_cell_angle_gamma 120.00
loop_
_atom_site_label
_atom_site_fract_x
_atom_site_fract_y
_atom_site_fract_z
Mn1 0.0000 0.0000 0.1382
Sn1 0.0000 0.0000 0.3488
O1 0.0167 0.7085 0.2536
```

Properties
The calculation puts the MP2020-corrected energy at -230.6 eV/cell. The total energy comes out at -6.941 eV/atom. For the formation energy, the calculation gives -2.084 eV/atom.

3.
MgZn2Fe2Si2O10: optimized geometry, GGA+U.

CIF file:
```
data_MgZn2Fe2Si2O10
_space_group_name_H-M_alt 'P 1'
_space_group_IT_number 1
_cell_length_a 5.414
_cell_length_b 5.465
_cell_length_c 7.226
_cell_angle_alpha 106.83
_cell_angle_beta 107.18
_cell_angle_gamma 93.64
loop_
_space_group_symop_operation_xyz
'x,y,z'
loop_
_atom_site_label
_atom_site_fract_x
_atom_site_fract_y
_atom_site_fract_z
Mg1 0.000 0.000 0.000
Zn1 0.293 0.420 0.316
Zn2 0.707 0.579 0.685
Fe1 0.500 0.000 0.000
Fe2 0.500 0.999 0.500
Si1 0.155 0.372 0.748
Si2 0.844 0.628 0.251
O1 0.149 0.682 0.851
O2 0.152 0.746 0.399
O3 0.245 0.225 0.921
O4 0.355 0.331 0.610
O5 0.373 0.071 0.231
O6 0.627 0.929 0.769
O7 0.644 0.668 0.390
O8 0.754 0.774 0.079
O9 0.848 0.253 0.600
O10 0.849 0.318 0.148
```

Properties
The calculation puts the MP2020-corrected energy at -121.4 eV/cell. The total energy comes out at -6.469 eV/atom. For the formation energy, the calculation gives -2.351 eV/atom. The calculation puts the total magnetic moment at 0.59 μB per atom. As for the relative energy among the computed polymorphs: 0 meV per atom.

4.
Mo4O5: optimized geometry, GGA+U.

CIF file:
```
data_Mo4O5
_space_group_name_H-M_alt 'I 41 m d'
_space_group_IT_number 109
_space_group_name_Hall 'I 4bw -2'
_cell_length_a 6.181
_cell_length_b 6.181
_cell_length_c 25.446
_cell_angle_alpha 90.00
_cell_angle_beta 90.00
_cell_angle_gamma 90.00
loop_
_atom_site_label
_atom_site_fract_x
_atom_site_fract_y
_atom_site_fract_z
Mo1 0.000 0.249 0.075
Mo2 0.000 0.255 0.750
Mo3 0.000 0.260 0.245
Mo4 0.000 0.270 0.919
O1 0.000 0.237 0.835
O2 0.000 0.239 0.667
O3 0.000 0.257 0.497
O4 0.000 0.273 0.324
O5 0.000 0.281 0.161
```

Properties

Solution:
data_Mo4O5